The reader should start at the top of the data further below and set down each line, ending with the one that has "c=3.5538 alpha=90.00".
~~~
Entry 1:
VASP calculation (PBE-GGA) on crystalline ZnHgBr at its relaxed geometry.

Properties
Polymorph energy (0 for the lowest one) = 0.000 eV/atom
Total energy = -1.40 eV/atom
E_form (uncorrected) = -313 meV per atom
Total magnetization = 0.000 μB per atom

Unit cell a=3.7848 b=6.8284 c=7.7760 alpha=78.10 beta=86.15 gamma=84.63
Last column: nearest neighbours and their distance in Å.
Space group P1 (No. 1)
One atom of each set of equivalent atoms:
Zn (0.0000, 0.0000, 0.0000) (multiplicity 1)  3 Br 2.48-2.72, 1 Hg 2.57
Zn (0.4834, 0.6966, 0.4696) (multiplicity 1)  2 Br 2.55-2.66, 2 Hg 2.58-2.84
Hg (0.2304, 0.8655, 0.7241) (multiplicity 1)  2 Zn 2.57-2.58
Hg (0.5890, 0.2834, 0.6304) (multiplicity 1)  1 Zn 2.84
Br (0.0008, 0.6561, 0.2490) (multiplicity 1)  3 Zn 2.55-2.72
Br (0.4664, 0.1739, 0.1223) (multiplicity 1)  2 Zn 2.48-2.55

Entry 2:
VASP calculation (PBE-GGA) on crystalline ZnHgBr at its relaxed geometry.

Properties
Polymorph energy (0 for the lowest one) = 0.069 eV/atom
Total energy = -1.33 eV/atom
E_form (uncorrected) = -244 meV per atom
Total magnetization = 0.000 μB per atom

Unit cell a=3.7134 b=4.3073 c=5.8570 alpha=92.64 beta=90.33 gamma=114.80
Last column: nearest neighbours and their distance in Å.
Space group P1 (No. 1)
One atom of each set of equivalent atoms:
Zn (0.0000, 0.0000, 0.0000) (multiplicity 1)  2 Br 2.59, 3 Hg 2.67-2.80
Hg (0.3162, 0.6097, 0.2273) (multiplicity 1)  3 Zn 2.67-2.80
Br (0.5303, 0.0679, 0.6969) (multiplicity 1)  2 Zn 2.59

Entry 3:
VASP calculation (PBE-GGA) on crystalline Zn2HgBr at its relaxed geometry.

Properties
Polymorph energy (0 for the lowest one) = 0.187 eV/atom
Total energy = -1.06 eV/atom
E_form (uncorrected) = 71 meV per atom
Total magnetization = 0.000 μB per atom

Unit cell a=3.4025 b=3.4025 c=7.6245 alpha=90.00 beta=90.00 gamma=90.00
Last column: nearest neighbours and their distance in Å.
Space group P4/mmm (No. 123)
One atom of each set of equivalent atoms:
Zn (0.0000, 0.0000, 0.2445) (multiplicity 2)  4 Hg 3.04, 4 Br 3.10, 4 Zn 3.40
Hg (0.5000, 0.5000, 0.0000) (multiplicity 1)  8 Zn 3.04, 4 Hg 3.40
Br (0.5000, 0.5000, 0.5000) (multiplicity 1)  8 Zn 3.10, 4 Br 3.40

Entry 4:
VASP calculation (PBE-GGA) on crystalline Zn2HgBr at its relaxed geometry.

Properties
Polymorph energy (0 for the lowest one) = 0.059 eV/atom
Total energy = -1.19 eV/atom
E_form (uncorrected) = -57 meV per atom
Total magnetization = 0.000 μB per atom

Unit cell a=3.6649 b=6.3706 c=8.7130 alpha=90.00 beta=90.00 gamma=90.00
Last column: nearest neighbours and their distance in Å.
Space group Cmm2 (No. 35)
One atom of each set of equivalent atoms:
Zn (0.0000, 0.0000, 0.0000) (multiplicity 2)  2 Zn 2.58, 2 Hg 2.80
Zn (0.0000, 0.5000, 0.2078) (multiplicity 2)  2 Br 2.55, 2 Zn 2.58
Hg (0.0000, 0.5000, 0.7563) (multiplicity 2)  2 Zn 2.80
Br (0.0000, 0.0000, 0.4111) (multiplicity 2)  2 Zn 2.55

Entry 5:
VASP calculation (PBE-GGA) on crystalline Zn2HgBr2 at its relaxed geometry.

Properties
Polymorph energy (0 for the lowest one) = 0.377 eV/atom
Total energy = -1.15 eV/atom
E_form (uncorrected) = 87 meV per atom
Total magnetization = 0.000 μB per atom

Unit cell a=8.4934 b=8.4934 c=3.5538 alpha=90.00 beta=90.00 gamma=90.00
Last column: nearest neighbours and their distance in Å.
Space group P4/mbm (No. 127)
One atom of each set of equivalent atoms:
Zn (0.1525, 0.3475, 0.0000) (multiplicity 4)  6 Br 3.03-3.08
Hg (0.0000, 0.0000, 0.5000) (multiplicity 2)  4 Br 3.26, 2 Hg 3.55
Br (0.1436, 0.6436, 0.5000) (multiplicity 4)  6 Zn 3.03-3.08, 2 Hg 3.26

Entry 6:
VASP calculation (PBE-GGA) on crystalline ZnHgBr at its relaxed geometry.

Properties
Polymorph energy (0 for the lowest one) = 0.039 eV/atom
Total energy = -1.36 eV/atom
E_form (uncorrected) = -274 meV per atom
Total magnetization = 0.000 μB per atom

Unit cell a=3.8222 b=6.7667 c=6.9152 alpha=105.97 beta=91.72 gamma=90.05
Last column: nearest neighbours and their distance in Å.
Space group P1 (No. 1)
One atom of each set of equivalent atoms:
~~~
Entry 1:
VASP calculation (PBE-GGA) on crystalline ZnHgBr at its relaxed geometry.

Properties
Polymorph energy (0 for the lowest one) = 0.000 eV/atom
Total energy = -1.40 eV/atom
E_form (uncorrected) = -313 meV per atom
Total magnetization = 0.000 μB per atom

Unit cell a=3.7848 b=6.8284 c=7.7760 alpha=78.10 beta=86.15 gamma=84.63
Last column: nearest neighbours and their distance in Å.
Space group P1 (No. 1)
One atom of each set of equivalent atoms:
Zn (0.0000, 0.0000, 0.0000) (multiplicity 1)  3 Br 2.48-2.72, 1 Hg 2.57
Zn (0.4834, 0.6966, 0.4696) (multiplicity 1)  2 Br 2.55-2.66, 2 Hg 2.58-2.84
Hg (0.2304, 0.8655, 0.7241) (multiplicity 1)  2 Zn 2.57-2.58
Hg (0.5890, 0.2834, 0.6304) (multiplicity 1)  1 Zn 2.84
Br (0.0008, 0.6561, 0.2490) (multiplicity 1)  3 Zn 2.55-2.72
Br (0.4664, 0.1739, 0.1223) (multiplicity 1)  2 Zn 2.48-2.55

Entry 2:
VASP calculation (PBE-GGA) on crystalline ZnHgBr at its relaxed geometry.

Properties
Polymorph energy (0 for the lowest one) = 0.069 eV/atom
Total energy = -1.33 eV/atom
E_form (uncorrected) = -244 meV per atom
Total magnetization = 0.000 μB per atom

Unit cell a=3.7134 b=4.3073 c=5.8570 alpha=92.64 beta=90.33 gamma=114.80
Last column: nearest neighbours and their distance in Å.
Space group P1 (No. 1)
One atom of each set of equivalent atoms:
Zn (0.0000, 0.0000, 0.0000) (multiplicity 1)  2 Br 2.59, 3 Hg 2.67-2.80
Hg (0.3162, 0.6097, 0.2273) (multiplicity 1)  3 Zn 2.67-2.80
Br (0.5303, 0.0679, 0.6969) (multiplicity 1)  2 Zn 2.59

Entry 3:
VASP calculation (PBE-GGA) on crystalline Zn2HgBr at its relaxed geometry.

Properties
Polymorph energy (0 for the lowest one) = 0.187 eV/atom
Total energy = -1.06 eV/atom
E_form (uncorrected) = 71 meV per atom
Total magnetization = 0.000 μB per atom

Unit cell a=3.4025 b=3.4025 c=7.6245 alpha=90.00 beta=90.00 gamma=90.00
Last column: nearest neighbours and their distance in Å.
Space group P4/mmm (No. 123)
One atom of each set of equivalent atoms:
Zn (0.0000, 0.0000, 0.2445) (multiplicity 2)  4 Hg 3.04, 4 Br 3.10, 4 Zn 3.40
Hg (0.5000, 0.5000, 0.0000) (multiplicity 1)  8 Zn 3.04, 4 Hg 3.40
Br (0.5000, 0.5000, 0.5000) (multiplicity 1)  8 Zn 3.10, 4 Br 3.40

Entry 4:
VASP calculation (PBE-GGA) on crystalline Zn2HgBr at its relaxed geometry.

Properties
Polymorph energy (0 for the lowest one) = 0.059 eV/atom
Total energy = -1.19 eV/atom
E_form (uncorrected) = -57 meV per atom
Total magnetization = 0.000 μB per atom

Unit cell a=3.6649 b=6.3706 c=8.7130 alpha=90.00 beta=90.00 gamma=90.00
Last column: nearest neighbours and their distance in Å.
Space group Cmm2 (No. 35)
One atom of each set of equivalent atoms:
Zn (0.0000, 0.0000, 0.0000) (multiplicity 2)  2 Zn 2.58, 2 Hg 2.80
Zn (0.0000, 0.5000, 0.2078) (multiplicity 2)  2 Br 2.55, 2 Zn 2.58
Hg (0.0000, 0.5000, 0.7563) (multiplicity 2)  2 Zn 2.80
Br (0.0000, 0.0000, 0.4111) (multiplicity 2)  2 Zn 2.55

Entry 5:
VASP calculation (PBE-GGA) on crystalline Zn2HgBr2 at its relaxed geometry.

Properties
Polymorph energy (0 for the lowest one) = 0.377 eV/atom
Total energy = -1.15 eV/atom
E_form (uncorrected) = 87 meV per atom
Total magnetization = 0.000 μB per atom

Unit cell a=8.4934 b=8.4934 c=3.5538 alpha=90.00 beta=90.00 gamma=90.00